**Exercise**
What is needed: filter the contents underneath: keep the lines with the word "total_energy_ha".
**Material**
<<<
107
Properties=species:S:1:pos:R:3:forces:R:3:lowdin_charge:R:1 method="wB97M-V/def2-TZVPD" total_energy_ha=-3109.14271 smiles="CCCCCCCCN(CCCCCCCC)C(=S)SCCCc1cc(N=C(C)C)cc2nccnc12.O=C1OC[C@@H](F)O1.O=C1OC[C@@H](F)O1" orbital_gap_ev=6.3 multiplicity=1
C 4.591 8.998 1.042 0.00 0.64 0.98 -0.1612
C 4.090 9.857 -0.261 0.93 0.41 0.08 -0.2688
C 3.879 8.984 -1.633 -0.48 0.21 0.21 -0.2312
C 3.385 7.438 -1.408 -0.27 -0.16 -1.54 -0.2371
C 1.737 7.297 -1.155 1.43 0.24 0.86 -0.2067
C 1.538 5.938 -0.259 -0.60 -0.41 -0.56 -0.2268
C 0.237 5.008 -0.741 0.25 -0.17 0.96 -0.1741
C 0.139 3.801 0.412 1.17 1.85 -0.87 -0.2722
N -1.011 2.845 0.180 0.70 -1.51 2.72 -0.2004
C -2.289 3.318 0.861 -1.43 0.24 -0.20 -0.2218
C -3.355 4.066 -0.136 -0.52 0.88 0.18 -0.1668
C -4.384 4.940 0.843 -0.71 -0.09 -0.59 -0.2028
C -5.969 4.552 0.630 -0.97 0.14 0.48 -0.2064
C -6.830 4.512 2.062 0.09 0.24 0.16 -0.2059
C -7.926 5.730 2.193 -0.96 -0.23 0.62 -0.2183
C -9.496 5.197 2.341 -0.88 0.55 0.45 -0.2567
C -10.091 5.436 3.879 0.51 -0.51 0.00 -0.1622
C -0.620 1.588 0.986 1.67 0.24 1.62 -0.9495
S 0.033 1.690 2.580 -1.26 -0.28 -3.10 0.5955
S -0.820 -0.110 0.220 0.32 1.01 -0.39 0.7754
C 0.804 -1.056 0.175 2.33 -0.66 0.64 -0.4740
C 0.640 -2.626 0.675 -0.55 0.37 0.02 -0.2441
C 1.667 -2.944 1.930 -0.11 -0.60 -0.04 -0.1768
C 1.999 -4.567 2.063 0.61 -2.42 -1.87 -0.0576
C 2.464 -5.346 0.697 -0.57 -1.07 4.18 0.0317
C 2.819 -6.973 0.730 -0.03 1.43 3.13 -0.1690
N 3.276 -7.606 -0.566 -2.84 -3.15 3.95 0.0149
C 3.215 -8.977 -0.530 0.04 1.17 -0.32 -0.2540
C 4.352 -9.964 0.174 -0.87 0.25 1.06 -0.0741
C 1.923 -9.711 -1.296 1.34 0.25 -1.19 -0.0544
C 2.636 -7.724 2.177 -0.19 2.49 -1.12 0.0048
C 2.171 -6.930 3.565 -0.23 0.13 -0.48 -0.1492
N 2.057 -7.761 4.811 -1.32 6.08 0.77 0.0124
C 1.643 -6.948 6.005 0.61 1.27 -3.56 -0.0806
C 1.351 -5.349 5.923 0.43 -0.70 -1.96 -0.0901
N 1.404 -4.487 4.693 1.48 -7.27 1.10 0.0420
C 1.827 -5.341 3.532 0.46 0.06 -1.14 -0.1153
H 3.933 8.053 1.284 1.30 1.87 -0.67 0.0650
H 5.738 8.687 1.005 -2.53 0.55 -0.21 0.0860
H 4.494 9.709 1.995 0.23 -1.52 -2.04 0.0801
H 3.149 10.513 0.012 1.75 -1.58 -0.51 0.1042
H 4.960 10.639 -0.495 -1.95 -1.58 0.54 0.1085
H 4.882 9.050 -2.242 -2.03 -0.38 1.13 0.1074
H 3.027 9.524 -2.256 1.87 -1.11 1.09 0.1137
H 3.569 6.878 -2.446 -0.25 1.11 2.22 0.1159
H 4.006 6.830 -0.613 -1.30 1.51 -1.44 0.0959
H 1.381 8.247 -0.537 0.59 -2.04 -1.37 0.1154
H 1.204 7.286 -2.199 0.93 -0.12 2.13 0.1133
H 2.500 5.245 -0.369 -2.04 1.54 0.29 0.1131
H 1.425 6.249 0.887 0.21 -0.81 -2.51 0.1231
H 0.400 4.528 -1.808 -0.22 1.06 2.18 0.1220
H -0.749 5.659 -0.771 2.03 -1.34 0.14 0.1014
H 0.072 4.371 1.448 0.09 -1.40 -1.91 0.1058
H 1.182 3.226 0.359 -2.45 1.17 0.14 0.1284
H -2.073 4.052 1.753 -0.15 -1.45 -1.61 0.1220
H -2.828 2.368 1.304 0.95 1.99 -0.85 0.1346
H -2.870 4.859 -0.865 -0.61 -1.88 1.53 0.0977
H -3.981 3.324 -0.823 1.49 1.42 1.65 0.1185
H -4.134 4.761 1.973 -0.34 0.40 -2.19 0.0946
H -4.283 6.094 0.586 -0.04 -2.46 0.76 0.1177
H -6.148 3.516 0.103 0.72 2.01 0.97 0.1049
H -6.514 5.365 -0.032 1.26 -1.69 1.18 0.1024
H -6.097 4.623 2.997 -1.47 -0.43 -2.15 0.1072
H -7.397 3.473 2.165 1.25 2.23 -0.21 0.1075
H -7.930 6.482 1.293 0.40 -1.51 1.70 0.1019
H -7.691 6.320 3.190 -0.45 -1.01 -2.16 0.0997
H -10.233 5.802 1.624 1.82 -1.33 1.36 0.1027
H -9.615 4.048 2.087 0.38 2.39 0.42 0.1003
H -9.763 4.516 4.525 -0.66 1.77 -1.05 0.0691
H -11.271 5.488 3.901 2.48 -0.02 -0.09 0.0735
H -9.615 6.397 4.388 -1.17 -1.94 -1.22 0.0746
H 1.296 -1.101 -0.909 -1.46 0.49 2.19 0.0978
H 1.610 -0.547 0.881 -1.89 -0.80 -1.41 0.0797
H -0.481 -2.778 1.045 2.49 0.16 -0.81 0.1220
H 0.809 -3.306 -0.263 -0.26 1.30 2.14 0.0744
H 1.130 -2.532 2.902 1.43 -1.07 -1.91 0.1173
H 2.711 -2.393 1.790 -2.27 -1.13 0.25 0.1233
H 2.555 -4.797 -0.334 -0.22 -1.08 2.37 0.0933
H 5.166 -9.348 0.778 -1.77 -1.14 -1.66 0.1009
H 3.780 -10.604 1.003 1.07 1.21 -1.90 0.0930
H 4.834 -10.730 -0.580 -1.09 1.74 1.34 0.0927
H 1.958 -9.324 -2.422 -0.09 -0.72 2.38 0.0942
H 0.886 -9.377 -0.867 2.24 -0.53 -0.47 0.0942
>>>
**Written answer**
Properties=species:S:1:pos:R:3:forces:R:3:lowdin_charge:R:1 method="wB97M-V/def2-TZVPD" total_energy_ha=-3109.14271 smiles="CCCCCCCCN(CCCCCCCC)C(=S)SCCCc1cc(N=C(C)C)cc2nccnc12.O=C1OC[C@@H](F)O1.O=C1OC[C@@H](F)O1" orbital_gap_ev=6.3 multiplicity=1